A/N: Well, Kids, here it is. The conclusion. Hope it's everything you wanted it to be. Shoutouts to my loyal reviewers: Honoria Granger, Enchanted Peach Dreams and Womble27. If you've enjoyed Between the Stars, feel free to follow me as an author, as I have other Labyrinth fics in the works. Without further ado: the end.


Sarah would never have thought to find herself, many months later, visiting the dungeons beneath her castle on a regular basis. How could she have imagined that she would still care for the woman who'd tried to take everything from her? Yet, here she was, still trying to find the friend she'd loved behind the darkness that had separated them.

Despite Sarah's never remembering choosing it, she had saved Keelie with her spell. All Keelie's ties to the Aboveground irrevocably broken; she could no longer access the magic nor even return to that place, but she was still alive. Over the past months, Sarah had begun to see her friend emerging – to see life returning from beyond the madness. Sarah knew for herself that the Underground had that effect on people – it healed the broken-hearted.

Today, like many before it, Sarah sat opposite her old friend, separated by the iron bars of Keelie's cell. As she looked at her lodgings, Sarah felt the familiar tinge of guilt. She'd made the dungeon cell as comfortable as she could, but even Sarah couldn't deny that it wasn't safe to move into the main lodgings of the castle. Keelie had good days, like today, but her bad days still made her startlingly dangerous.

In one hand, Sarah fingered a shimmering red and gold feather while the other rested on her growing stomach, the place where her and Jareth's child grew. The two had been chatting, as usual, about the Underground and the other kingdoms. On days like today, Keelie delighted in news of the other kingdoms and Sarah was more than happy to regale her with tales of the grand wedding in the Golden Palace and of the upcoming birth of the heir to the Kingdom of Dreams.

Sarah held the feather in her hand though the bars, watched carefully by her ever-present friends, Vrees and Hirm. Keelie had once expressed a wish to become a Loukai, and Sarah had decided to gift her with one of her own phoenix feathers.

"Hold onto that wish to be a Loukai, Keelie." Sarah said, continuing to hold out the feather. "The Underground listens to those who make wishes, you know." Keelie took the feather and stared intently down at it. She'd once told Sarah how mesmerized she'd been by Sarah's phoenix form –how seeing it had been the first time she'd felt like herself in years.

"I don't know if the Underground will ever forgive me, Sarah."

____________
[1]
A relaxed Ti5NbO12 crystal, computed with PBE.

Output
Calculated total energy   -8.967 eV per atom
Formation energy from the elements   -3.372 eV/atom
Crystal system   monoclinic
Space group   C2/m, No. 12

Lattice parameters (Å, degrees): 5.573 5.573 7.277 71.22 71.22 73.50
Positions (direct):
1 Ti 0.662 0.662 0.329
2 O 0.102 0.102 0.705
3 O 0.898 0.898 0.295
4 O 0.368 0.972 0.331
5 O 0.231 0.231 0.965
6 O 0.632 0.028 0.669
7 O 0.972 0.368 0.331
8 Ti 0.662 0.662 0.840
9 Ti 0.338 0.338 0.160
10 O 0.696 0.304 0.000
11 Ti 0.338 0.338 0.671
12 Nb 0.000 0.000 0.500
13 O 0.304 0.696 0.000
14 O 0.435 0.435 0.371
15 Ti 0.000 0.000 0.000
16 O 0.565 0.565 0.629
17 O 0.769 0.769 0.035
18 O 0.028 0.632 0.669

[2]
A relaxed Ti3NbO8 crystal, computed with PBE.

Output
Calculated total energy   -8.976 eV per atom
Formation energy from the elements   -3.319 eV/atom
Crystal system   monoclinic
Space group   C2/m, No. 12

Lattice parameters (Å, degrees): 9.897 9.897 4.718 89.57 89.57 35.27
Positions (direct):
1 O 0.080 0.566 0.303
2 Nb 0.878 0.878 0.496
3 O 0.178 0.675 0.696
4 O 0.675 0.178 0.696
5 O 0.050 0.050 0.806
6 Ti 0.371 0.371 0.505
7 O 0.920 0.434 0.697
8 O 0.700 0.700 0.198
9 Ti 0.500 0.000 0.000
10 O 0.822 0.325 0.304
11 O 0.199 0.199 0.192
12 O 0.566 0.080 0.303
13 Ti 0.262 0.738 0.000
14 Nb 0.122 0.122 0.504
15 O 0.325 0.822 0.304
16 Ti 0.629 0.629 0.495
17 Ti 0.000 0.500 0.000
18 O 0.950 0.950 0.194
19 O 0.434 0.920 0.697
20 O 0.550 0.550 0.804
21 O 0.450 0.450 0.196
22 Ti 0.738 0.262 0.000
23 O 0.801 0.801 0.808
24 O 0.300 0.300 0.802

[3]
A relaxed TiNbO4 crystal, computed with PBE.

Output
Calculated total energy   -9.010 eV per atom
Formation energy from the elements   -3.170 eV/atom
Crystal system   monoclinic
Space group   Cm, No. 8

Lattice parameters (Å, degrees): 5.664 5.664 7.403 70.90 70.90 73.74
Positions (direct):
1 O 0.367 0.973 0.330
2 O 0.772 0.772 0.030
3 Nb 0.664 0.664 0.835
4 O 0.973 0.367 0.330
5 O 0.900 0.900 0.298
6 O 0.042 0.628 0.665
7 O 0.696 0.294 0.005
8 Nb 0.998 0.998 0.505
9 Ti 0.328 0.328 0.671
10 O 0.430 0.430 0.369
11 Ti 0.008 0.008 0.002
12 Nb 0.662 0.662 0.328
13 O 0.101 0.101 0.707
14 Ti 0.337 0.337 0.159
15 O 0.294 0.696 0.005
16 O 0.566 0.566 0.631
17 O 0.232 0.232 0.964
18 O 0.628 0.042 0.665

[4]
A relaxed Ti3NbO8 crystal, computed with PBE.

Output
Calculated total energy   -8.914 eV per atom
Formation energy from the elements   -3.258 eV/atom
Crystal system   hexagonal
Space group   P6_3mc, No. 186

Lattice parameters (Å, degrees): 5.974 5.974 9.401 90.00 90.00 120.00
Positions (direct):
1 O 0.043 0.521 0.336
2 O 0.169 0.831 0.600
3 O 0.479 0.521 0.336
4 Ti 0.169 0.337 0.214
5 O 0.333 0.667 0.106
6 O 0.957 0.479 0.836
7 Nb 0.667 0.333 0.991
8 O 0.521 0.043 0.836
9 Ti 0.831 0.169 0.714
10 O 0.169 0.339 0.600
11 O 0.000 0.000 0.809
12 O 0.667 0.333 0.606
13 O 0.479 0.957 0.336
14 Nb 0.333 0.667 0.491
15 O 0.521 0.479 0.836
16 O 0.000 0.000 0.309
17 Ti 0.663 0.831 0.214
18 O 0.831 0.169 0.100
____________

"Oh, she will."

"How do you know?" Sarah chuckled under her breath.

"I know and Jareth knows. Someday you'll be yourself again."It was then that Sarah felt it, the familiar tug of a wisher, of a summons to the edges of the Goblin Kingdom. Jareth would meet her there, at the hill that overlooked their beautiful and timeless Labyrinth. There they would don their glamour and meet the wisher who would walk the ever-changing, oft-disputed path that Sarah and Jareth would lay before them. They would face the challenges of Will, and the dangers of Dreams and Fear while looking forward towards the promises of Desire, Knowledge and Memory. The experience of the wisher was still all too familiar to Sarah.

Of course, she thought as she bid goodbye to Keelie and made her way up the stairs toward the entry hall, at the end of the day Sarah would return to her castle. She would return to her bed with her amazing king who would hold her and coddle her. They would make plans for the future, debate baby names, and make love. Sometime in the night, their adopted daughter would crawl into bed with them, and Sarah would fall asleep enveloped in the scent of Labyrinth dust and magic. All was well.